2010年7月11日 星期日

Software Estimation v.s.Biz Target

之前blog的文章, 2008-04-02

Software Estimation Demystifying The Black Art是code complete 的作者Steve McConnell 2006年大作. 裡面提出如何作好軟體時程預估. 其中有一段Manager 跟工程師的討論, 說明 Estimation, Targets的不同:
 One implication of the close and sometimes confusing relationship between estimation and planning is that project stakeholders sometimes miscommunicate about these activities. Here’s an example of a typical miscommunication:

EXECUTIVE: How long do you think this project will take? We need to have this software ready in 3 months for a trade show. I can't give you any more team members, so you'll have to do the work with your current staff. Here's a list of the features we'll need.

PROJECT LEAD: OK, let me crunch some numbers, and get back to you.


PROJECT LEAD: We've estimated the project will take 5 months.

[These molecular data were left in the piece by mistake]
┌──
(P)
The following is a quantum chemistry calculation of one molecule with the formula C20H22N2O3, from the OMol25 dataset.

Geometry as XYZ:
```
47
Properties=species:S:1:pos:R:3:lowdin_charge:R:1
O 4.717 -1.746 -1.715 0.07
O 1.408 -2.053 -0.578 0.11
O -4.719 -1.250 0.722 -0.05
N 1.361 0.203 -0.736 0.02
N 3.658 -0.330 -0.280 -0.04
C -2.938 -0.286 -0.652 0.00
C -6.066 -1.257 -1.320 -0.06
C -2.518 -1.932 1.048 0.01
C -0.358 2.754 1.315 -0.07
C -0.682 -1.008 -0.202 -0.17
C 5.325 -1.642 0.656 -0.08
C -1.582 -0.226 -0.915 -0.02
C -5.734 -0.576 0.004 -0.25
C 3.738 0.108 1.094 -0.13
C 0.209 1.555 0.929 -0.03
C 0.784 2.518 -1.195 -0.03
C -1.172 -1.881 0.768 -0.01
C -0.350 3.841 0.457 -0.09
C 4.549 -1.299 -0.606 -0.47
C -3.422 -1.131 0.344 -0.26
C 0.779 1.423 -0.335 -0.25
C 0.225 3.718 -0.797 -0.08
C 2.728 0.213 -1.228 -0.08
C 4.490 -1.036 1.782 -0.15
C 0.775 -1.021 -0.502 -0.39
H -6.603 -0.614 0.668 0.12
H -0.800 2.842 2.297 0.11
H -0.789 4.778 0.763 0.10
H 0.205 0.712 1.605 0.12
H -5.466 0.476 -0.151 0.12
H 4.293 1.056 1.156 0.13
H -6.885 -0.733 -1.806 0.08
H 5.092 -0.687 2.619 0.11
H 2.990 1.249 -1.473 0.14
H -3.603 0.334 -1.232 0.11
H -5.204 -1.260 -1.983 0.07
H -6.363 -2.287 -1.140 0.08
H 6.312 -1.180 0.584 0.12
H 0.231 4.559 -1.474 0.10
H 2.743 0.266 1.514 0.11
H -0.478 -2.514 1.299 0.12
H 5.459 -2.718 0.742 0.12
H 1.208 2.422 -2.184 0.12
H 2.812 -0.424 -2.118 0.15
H -1.230 0.425 -1.701 0.12
H -2.906 -2.592 1.808 0.12
H 3.776 -1.774 2.147 0.11
```

HOMO energy (eV): -8.433
SMILES: CCOc1ccc(C(=O)N(CN2CCCC2=O)c2ccccc2)cc1


(Q)
The following is a quantum chemistry calculation of one molecule with the formula C20H22N2O3, from the OMol25 dataset.

Geometry as XYZ:
```
47
Properties=species:S:1:pos:R:3:lowdin_charge:R:1
O -1.536 2.650 3.163 -0.05
O 2.096 -1.165 1.498 -0.05
O 4.072 -3.820 1.692 0.08
N 2.673 -3.485 -0.027 0.07
N 1.499 -3.000 -0.495 0.10
C -2.078 3.956 1.154 -0.22
C -1.570 3.930 2.576 -0.16
C 0.243 1.944 1.632 -0.01
C -0.582 0.527 3.379 0.00
C 0.304 -0.467 3.010 -0.01
C -3.378 2.986 -0.620 -0.08
C 1.173 -0.264 1.943 -0.27
C 3.061 -3.314 1.262 -0.44
C -2.212 5.046 -0.985 -0.09
C 1.232 -3.195 -4.118 -0.19
C -3.033 4.035 -1.455 -0.09
C 1.127 0.949 1.263 0.01
C 1.214 -3.044 -1.725 -0.28
C -0.216 -3.129 -3.631 -0.19
C -0.624 1.741 2.701 -0.28
C 2.114 -2.447 2.084 -0.12
C 2.022 -3.601 -2.873 -0.13
C -0.094 -2.518 -2.235 -0.13
C -1.734 5.006 0.312 -0.05
C -2.907 2.949 0.680 -0.03
H -0.581 4.407 2.633 0.13
H -4.019 2.195 -0.981 0.10
H 0.312 -1.389 3.569 0.11
H 2.484 -2.409 3.117 0.14
H -2.257 4.500 3.214 0.14
H -1.088 5.793 0.676 0.11
H -3.177 2.134 1.335 0.12
H -1.257 0.378 4.207 0.12
H -0.851 -2.540 -4.291 0.11
H 1.802 1.099 0.436 0.12
H 2.072 -4.691 -2.784 0.12
H 1.115 -2.902 2.055 0.13
H -0.037 -1.429 -2.293 0.12
H 1.364 -3.894 -4.943 0.11
H 0.232 2.866 1.072 0.11
H -1.939 5.867 -1.633 0.10
H 1.552 -2.207 -4.452 0.11
H -0.918 -2.770 -1.570 0.12
H -0.631 -4.136 -3.562 0.11
H 3.044 -3.216 -2.882 0.12
H 3.315 -3.989 -0.639 0.16
└──

EXECUTIVE: Five months!? Didn't you hear me? I said we needed to have this software ready in 3 months for a trade show!

 In this interaction, the project lead will probably walk away thinking that the executive is irrational, because he is asking for the team to deliver 5 months' worth of functionality in 3 months. The executive will walk away thinking that the project lead doesn't "get" the business reality, because he doesn't understand how important it is to be ready for the trade show in 3 months.

 Note in this example that the executive was not really asking for an estimate; he was asking the project lead to come up with a plan to hit a target. Most executives don't have the technical background that would allow them to make fine distinctions between estimates, targets, commitments, and plans. So it becomes the technical leader's responsibility to translate the executive's request into more specific technical terms.

 Here's a more productive way that the interaction could go:

EXECUTIVE: How long do you think this project will take? We need to have this software ready in 3 months for a trade show. I can't give you any more team members, so you’ll have to do the work with your current staff. Here's a list of the features we'll need.

PROJECT LEAD: Let me make sure I understand what you're asking for. Is it more important for us to deliver 100% of these features, or is it more important to have something ready for the trade show?

EXECUTIVE: We have to have something ready for the trade show. We'd like to have 100% of those features if possible.

PROJECT LEAD: I want to be sure I follow through on your priorities as best I can. If it turns out that we can't deliver 100% of the features by the trade show, should we be ready to ship what we've got at trade show time, or should we plan to slip the ship date beyond the trade show?

EXECUTIVE: We have to have something for the trade show, so if push comes to shove, we have to ship something, even if it isn't 100% of what we want.

PROJECT LEAD: OK, I'll come up with a plan for delivering as many features as we can in the next 3 months.

Tip #2 When you're asked to provide an estimate, determine whether you're supposed to be estimating or figuring out how to hit a target.
 這讓我有了一些反省, 原來我時常要的是 business target, 而工程師卻會想要完整的implementation. 這是兩者的落差. 如何增進溝通是團隊中每個人都應該要常常要思考的.

